IOMP @ AAPM 2023

IOMP’s presence at the annual AAPM meetings has evolved into a significant and impactful tradition. The 2023 annual meeting was no exception, as it contributed to furthering the collaboration between IOMP and AAPM in the long term. It also served as a platform to disseminate essential information about IOMP and its upcoming activities and events, thereby enhancing IOMP’s visibility in the medical physics industry. The presence of esteemed delegates from IOMP, including Prof. John Damilakis, Prof. Eva Bezak, Dr. Ibrahim Duhaini, and Prof. M. Mahesh, played a pivotal role in the success of the event.

Key highlights of IOMP’s engagement at AAPM 2023:

IOMP Booth:
The IOMP booth at the AAPM 2023 meeting became a popular hub for medical physicists and representatives from other scientific and professional organizations to connect with IOMP. Discussions at the booth centered around potential future collaborations and interactions with IOMP.

Symposium on Data Analysis and AI in Medical Physics:
The symposium on “Data Analysis and Artificial Intelligence (AI) in Relation to Medical Physics Profession: The IOMP’s View” garnered widespread attention and success. This symposium brought to light the latest advancements in medical physics and provided insights into IOMP’s perspectives on addressing the challenges posed by AI and big data science. Topics covered included the opportunities for medical physicists in utilizing AI in clinical settings, data collection, preprocessing, model training, testing, and evaluation. Additionally, the symposium focused on examining how AI can be employed for patient organ dose prediction and discussed the impact of data bias in integrating AI tools. Risk minimization associated with AI model evaluation was another critical objective of the symposium.

AAMP-IOMP Meeting:
A dedicated meeting between AAPM and IOMP was held on July 26 to discuss various aspects of their collaboration. This meeting allowed the organizations to explore opportunities for scientific and professional collaboration, joint events, and the activities conducted by the liaison group. It facilitated the strengthening of their partnership and fostered the exchange of ideas for future initiatives.

_Inserted here: calculated crystals_
********
No. 1
Compound: LiZn2BH
Source: Alexandria
Functional: GGA-PBE
Structure: optimized geometry

Total DFT energy (no corrections), eV per atom: -1.918
SG: P4/mmm, No. 123

Cell lengths 4.5655, 4.5655, 2.9306 Å; angles 90.00, 90.00, 90.00 degrees
Last column: nearest neighbours and their distance in Å.
Atoms (fractional coordinates):
Li1 0.0000 0.0000 0.0000  2 H 1.47
Zn1 0.0000 0.5000 0.0000  2 Li 2.28
Zn2 0.5000 0.0000 0.0000  2 Li 2.28
B1 0.5000 0.5000 0.5000  8 Zn 2.71, 2 B 2.93
H1 0.0000 0.0000 0.5000  2 Li 1.47



No. 2
Compound: LiZrBH2
Source: Alexandria
Functional: GGA-PBE
Structure: optimized geometry

Total DFT energy (no corrections), eV per atom: -4.615
SG: P4/mmm, No. 123

Cell lengths 3.4149, 3.4149, 4.0236 Å; angles 90.00, 90.00, 90.00 degrees
Last column: nearest neighbours and their distance in Å.
Atoms (fractional coordinates):
Li1 0.0000 0.0000 0.0000  4 H 1.71
Zr1 0.5000 0.5000 0.5000  4 B 2.41, 8 H 2.64
B1 0.0000 0.0000 0.5000  2 Li 2.01
H1 0.0000 0.5000 0.0000  2 Li 1.71
H2 0.5000 0.0000 0.0000  2 Li 1.71

----------

Record 1
The following is a DFT calculation (PBE-GGA) of an optimized crystal structure of In3Br.

Cell lengths 5.4666, 5.4666, 5.4666 Å; angles 60.00, 60.00, 60.00 degrees
Positions (direct):
1 In 0.0000 0.0000 0.0000
2 In 0.2500 0.2500 0.2500
3 In 0.7500 0.7500 0.7500
4 Br 0.5000 0.5000 0.5000

Computed properties:
Symmetry ... Fm-3m (225)

Record 2
The following is a DFT calculation (PBE-GGA) of an optimized crystal structure of In2Br.

Cell lengths 4.4574, 4.4574, 5.1956 Å; angles 90.00, 90.00, 90.00 degrees
Positions (direct):
1 In 0.0000 0.5000 0.0000
2 In 0.5000 0.0000 0.0000
3 Br 0.0000 0.0000 0.5000

Computed properties:
Symmetry ... P4/mmm (123)

Record 3
The following is a DFT calculation (PBE-GGA) of an optimized crystal structure of InBr.

Cell lengths 4.4598, 7.6626, 8.2310 Å; angles 90.08, 105.65, 90.02 degrees
Positions (direct):
1 In 0.1167 0.4776 0.2324
2 In 0.1180 0.0163 0.2318
3 In 0.8820 0.9837 0.7682
4 In 0.8833 0.5224 0.7676
5 Br 0.2632 0.7496 0.5260
6 Br 0.4519 0.2510 0.9053
7 Br 0.5481 0.7490 0.0947
8 Br 0.7368 0.2504 0.4740

Computed properties:
Symmetry ... P-1 (2)

| no. | ΔE_f (raw) (meV/atom) |
| --- | --- |
| 1 | -74.2 |
| 2 | -271.7 |
| 3 | -641.6 |

----------

Model P:
Here is a relaxed structure of ZrBAs from the Open Quantum Materials Database. Energies are from PBE-GGA.

Geometry as CIF:
```
data_ZrBAs
_chemical_formula_sum 'Zr4 B4 As4'
_cell_length_a 6.094
_cell_length_b 6.094
_cell_length_c 6.094
_cell_angle_alpha 90.00
_cell_angle_beta 90.00
_cell_angle_gamma 90.00
_space_group_name_H-M_alt 'F -4 3 m'
_space_group_IT_number 216
_space_group_name_Hall 'F -4 2 3'
loop_
_atom_site_label
_atom_site_type_symbol
_atom_site_fract_x
_atom_site_fract_y
_atom_site_fract_z
Zr1 Zr 0.000 0.000 0.000
B1 B 0.250 0.250 0.250
As1 As 0.250 0.250 0.750
```

- size of the total moment (μB per formula unit) = 0.00
- crystal system = cubic


Model Q:
********

Industry Engagement:
The delegates, Prof. John Damilakis, Prof. Eva Bezak, and Dr. Ibrahim Duhaini, proactively engaged with company booths during the event. Their interactions were aimed at informing these companies about the upcoming World Congress of Medical Physics and Biomedical Engineering 2025 (WC2025) to be hosted in Australia. Additionally, the delegates extended invitations to these companies to become corporate members of IOMP, and many companies expressed keen interest. Plans were made for follow-up contact calls to pursue potential partnerships further.

Prof. M. Mahesh’s Recognition:
A moment of pride for IOMP was the announcement of Prof. M. Mahesh, Chair of the IOMP Science Committee, being honored with the inaugural Edith H. Quimbly Lifetime Achievement Award. This recognition celebrates Prof. Mahesh’s remarkable contributions to the field of medical physics and adds to IOMP’s reputation in the industry.

In conclusion, IOMP’s presence at AAPM 2023 was marked by tremendous success, cementing its role as a leading organization in the field of medical physics. The collaborative efforts with AAPM and the engaging activities during the event demonstrated IOMP’s commitment to the advancement of medical physics and its professional and scientific development worldwide.